Listing
-- begin --
Theoretical powder diffractogram
Compound: Ti2Pb3O7
Radiation: λ = 1.5418 Å (Cu Kα)
Structure: the GGA-PBE geometry in Alexandria
Neutral-atom scattering factors, no anomalous dispersion.

Most intense lines, 2θ = 5–70°, low angle first:
3.891 Å, 2θ 22.9, I = 35
3.487 Å, 2θ 25.5, I = 17
2.876 Å, 2θ 31.1, I = 100
2.800 Å, 2θ 32.0, I = 58
2.183 Å, 2θ 41.4, I = 34
2.092 Å, 2θ 43.2, I = 11
1.980 Å, 2θ 45.8, I = 30
1.722 Å, 2θ 53.2, I = 10
1.715 Å, 2θ 53.4, I = 16
1.676 Å, 2θ 54.8, I = 15
1.631 Å, 2θ 56.4, I = 39
1.438 Å, 2θ 64.8, I = 13

Structure:
Cell: 10.830 10.830 10.830 Å, 158.93 158.93 29.97°
Fractional positions:
Ti (0.097, 0.097, 0.000)
Ti (0.903, 0.903, 0.000)
Pb (0.314, 0.314, 0.000)
Pb (0.500, 0.500, 0.000)
Pb (0.686, 0.686, 0.000)
O (0.000, 0.000, 0.000)
O (0.096, 0.596, 0.500)
O (0.191, 0.191, 0.000)
O (0.404, 0.904, 0.500)
O (0.596, 0.096, 0.500)
O (0.809, 0.809, 0.000)
O (0.904, 0.404, 0.500)
-- stop --

Brief
Could you print the block further above character by character?

Worked solution
Theoretical powder diffractogram
Compound: Ti2Pb3O7
Radiation: λ = 1.5418 Å (Cu Kα)
Structure: the GGA-PBE geometry in Alexandria
Neutral-atom scattering factors, no anomalous dispersion.

Most intense lines, 2θ = 5–70°, low angle first:
3.891 Å, 2θ 22.9, I = 35
3.487 Å, 2θ 25.5, I = 17
2.876 Å, 2θ 31.1, I = 100
2.800 Å, 2θ 32.0, I = 58
2.183 Å, 2θ 41.4, I = 34
2.092 Å, 2θ 43.2, I = 11
1.980 Å, 2θ 45.8, I = 30
1.722 Å, 2θ 53.2, I = 10
1.715 Å, 2θ 53.4, I = 16
1.676 Å, 2θ 54.8, I = 15
1.631 Å, 2θ 56.4, I = 39
1.438 Å, 2θ 64.8, I = 13

Structure:
Cell: 10.830 10.830 10.830 Å, 158.93 158.93 29.97°
Fractional positions:
Ti (0.097, 0.097, 0.000)
Ti (0.903, 0.903, 0.000)
Pb (0.314, 0.314, 0.000)
Pb (0.500, 0.500, 0.000)
Pb (0.686, 0.686, 0.000)
O (0.000, 0.000, 0.000)
O (0.096, 0.596, 0.500)
O (0.191, 0.191, 0.000)
O (0.404, 0.904, 0.500)
O (0.596, 0.096, 0.500)
O (0.809, 0.809, 0.000)
O (0.904, 0.404, 0.500)